Women's he alth: a symptom of mastitis, prevention and treatment

Women's he alth: a symptom of mastitis, prevention and treatment
Women's he alth: a symptom of mastitis, prevention and treatment

Many women, having become mothers and breastfeeding their babies, are faced with such a nuisance as milk stasis. If the necessary measures are not taken in time, it threatens to develop into a serious disease - mastitis.

-- begin --
Below is a 6-piece molecular cluster, C33H68ClIO9 overall, with properties calculated with wB97M-V/def2-TZVPD.

Structure (XYZ):
```
112
Properties=species:S:1:pos:R:3:forces:R:3:mulliken_charge:R:1
C 2.2434 -1.5673 2.8778 -0.1567 0.1520 -0.3809 1.07
C 1.7004 -0.7154 2.2288 0.2588 -0.2369 0.3537 -1.86
C 1.0485 0.2117 1.3176 0.1055 -0.2634 0.0813 0.78
C 0.9098 1.7031 1.7072 0.4127 -0.7000 -0.3994 1.94
Cl 1.4903 1.9967 3.3757 -0.1579 0.0998 0.1765 -0.10
C 1.6905 2.5717 0.7253 -0.4667 0.2740 -0.0337 -1.50
C 1.9416 4.0212 1.1298 0.2536 0.0047 -0.1295 -0.55
C 3.2481 4.2718 1.9063 -0.2782 -0.0480 0.0052 -0.42
C 3.9949 5.4642 1.3398 0.3716 0.0885 -0.0528 -0.69
O 4.8846 6.0768 2.2968 -0.4004 -0.0031 0.1234 -0.40
C 5.8549 5.2946 2.7735 0.1763 -0.1891 0.0101 0.22
O 6.4342 5.5227 3.7893 0.1419 0.1570 0.1005 -0.48
O -0.4569 2.0883 1.5684 0.1847 1.2076 0.6216 0.27
C -1.3418 1.7264 2.5383 -0.0707 -0.4019 -0.4542 0.40
O -1.3621 0.6259 2.9991 0.1051 -0.3577 0.3594 -0.52
C -2.3608 2.7529 2.9486 -0.1712 0.2887 -0.0290 -1.08
C -2.2773 4.2017 2.5037 0.0998 0.1183 0.2403 -0.28
C -1.1283 4.9886 3.1418 -0.1514 0.0930 0.0384 -1.18
I -2.3667 4.4309 0.3703 -0.0424 -0.0207 -0.1162 0.00
H 2.7273 -2.3858 3.3525 -0.0183 0.0095 0.2155 0.79
H 1.6143 0.1480 0.3853 -0.1787 0.0319 -0.1697 -0.37
H 0.0461 -0.1640 1.1409 0.1477 0.0417 0.0144 -1.22
H 1.0615 2.5847 -0.1686 0.1271 -0.1741 -0.1486 0.17
H 2.6260 2.0774 0.4683 0.0488 -0.0614 0.0465 0.53
H 1.9906 4.5976 0.2030 -0.0946 0.0158 -0.0502 0.55
H 1.0885 4.3997 1.6871 -0.0674 0.0739 -0.0175 -0.22
H 3.8620 3.3718 1.8519 0.1293 0.0303 0.1493 0.40
H 3.0440 4.4725 2.9574 0.0030 -0.0744 0.0555 0.39
H 3.3012 6.2546 1.0667 0.0219 0.0763 -0.0115 0.41
H 4.5810 5.1908 0.4591 -0.1055 -0.0147 -0.1369 0.34
H 6.0916 4.4249 2.1395 -0.0889 -0.0456 -0.1070 0.33
H -3.3402 2.3466 2.6966 -0.0014 -0.1249 -0.0249 0.29
H -2.3018 2.7475 4.0413 -0.0866 -0.0222 0.0505 0.37
H -3.2028 4.6681 2.8261 -0.1268 -0.0189 -0.1829 0.64
H -0.6871 5.7047 2.4550 0.1286 -0.0459 -0.0259 0.28
H -0.3626 4.3315 3.5482 0.1578 -0.0371 -0.1555 0.29
H -1.5267 5.5718 3.9733 0.0129 -0.0471 0.0904 0.41
C -2.9785 -1.2416 0.2916 -0.0442 -0.0233 -0.0868 -1.81
C -1.5899 -1.4541 -0.2857 -0.1819 0.0138 0.1291 0.91
O -1.5699 -1.9812 -1.5999 -0.8278 0.1550 -0.0584 -0.39
C -2.2040 -1.1806 -2.5853 -0.1806 0.0852 -0.0691 -0.40
C -1.5869 0.1994 -2.7410 0.0510 -0.0616 0.0766 -0.63
H -3.5432 -2.1749 0.2821 -0.0011 -0.0046 0.0090 0.41
H -2.8958 -0.8920 1.3217 0.0231 -0.0225 0.0143 0.46
H -3.5461 -0.4977 -0.2706 0.0266 0.0358 0.0182 0.28
H -1.0503 -2.1844 0.3204 0.0257 0.0447 0.0021 0.30
H -1.0205 -0.5190 -0.2426 -0.1538 -0.0529 -0.1687 -0.53
H -3.2787 -1.1007 -2.3882 0.0149 0.0096 -0.0041 0.24
H -2.0995 -1.7384 -3.5159 0.0106 -0.0293 0.0054 0.43
H -1.6830 0.7985 -1.8329 -0.0530 0.0397 -0.0271 0.13
H -2.0824 0.7381 -3.5499 0.0030 -0.0189 -0.0248 0.58
H -0.5245 0.1195 -2.9763 -0.1500 -0.0472 0.0161 -0.25
C 3.8927 -3.6239 -2.1862 -0.0640 0.0350 -0.0388 -1.06
-- stop --
[So much for the calculated molecules]

Causes of the disease and symptoms

== Attached: molecular data ==
=====
A cluster of 9 separate species, C45H108N6O3 in total, computed with ωB97M-V/def2-TZVPD.

Structure (XYZ):
```
162
Properties=species:S:1:pos:R:3:lowdin_spin:R:1
C -0.41 -0.40 -5.34 0.02
C -1.29 0.88 -5.42 0.00
N -1.90 0.99 -6.75 0.00
C -1.06 1.35 -7.85 0.00
C -0.55 2.81 -7.73 0.00
C -2.91 -0.08 -6.97 0.00
C -4.10 0.46 -7.78 0.00
H -0.07 -0.52 -4.31 0.01
H 0.53 -0.24 -5.86 0.00
H -0.83 -1.34 -5.71 0.00
H -2.12 0.92 -4.72 0.00
H -0.60 1.70 -5.20 0.00
H -0.17 0.72 -7.88 0.00
H -1.60 1.11 -8.76 0.00
H 0.32 3.02 -7.11 0.00
H -0.16 2.99 -8.74 0.00
H -1.33 3.51 -7.45 0.00
H -3.33 -0.44 -6.03 0.00
H -2.52 -1.00 -7.40 0.00
H -4.87 -0.31 -7.76 0.00
H -3.83 0.58 -8.83 0.00
H -4.62 1.38 -7.50 0.00
C -0.23 -1.60 0.42 0.03
C -0.17 -0.49 -0.66 0.02
N -0.18 0.82 -0.05 0.00
C 1.11 1.12 0.69 0.02
C 1.28 2.59 1.19 0.02
C -0.52 1.82 -1.07 0.00
C 0.56 2.11 -2.08 0.01
H 0.12 -2.54 -0.01 0.01
H -1.26 -1.83 0.72 0.01
H 0.28 -1.36 1.36 0.01
H 0.76 -0.77 -1.15 0.01
H -1.03 -0.70 -1.29 0.00
H 1.32 0.34 1.42 0.02
H 2.00 0.87 0.11 0.00
H 2.27 2.73 1.63 0.01
H 1.25 3.39 0.46 0.00
H 0.63 2.77 2.05 0.00
H -0.76 2.75 -0.57 0.00
H -1.49 1.60 -1.51 0.00
H 0.74 1.16 -2.58 0.00
H 1.55 2.28 -1.65 0.00
H 0.25 2.98 -2.65 0.00
C -5.04 -2.20 -2.97 0.01
C -5.95 -1.10 -2.46 0.01
N -6.26 -0.06 -3.49 0.00
C -5.22 0.88 -3.89 0.00
C -4.51 1.53 -2.77 0.01
C -7.16 -0.46 -4.61 0.00
C -7.91 0.68 -5.29 0.00
H -4.29 -1.74 -3.62 0.00
H -5.57 -2.80 -3.70 0.00
H -4.65 -2.86 -2.19 0.00
H -6.85 -1.66 -2.18 0.00
H -5.63 -0.72 -1.49 0.01
H -4.45 0.33 -4.44 0.00
H -5.55 1.76 -4.44 0.00
H -4.19 0.86 -1.97 0.00
H -3.69 2.10 -3.20 0.00
H -5.25 2.18 -2.30 0.00
H -7.83 -1.22 -4.20 0.00
H -6.55 -1.10 -5.24 0.00
H -7.32 1.26 -6.00 0.00
H -8.38 1.33 -4.56 0.00
H -8.55 0.17 -6.01 0.00
C 0.17 6.54 -0.21 0.00
C 0.65 7.64 0.77 0.00
N -0.02 7.49 2.03 0.00
C -0.16 8.79 2.76 0.00
C 1.11 9.12 3.63 0.00
C 0.21 6.29 2.86 0.00
C -0.95 6.08 3.82 0.00
H -0.80 6.76 -0.64 0.00
H 0.07 5.53 0.19 0.00
H 0.92 6.44 -1.00 0.00
H 1.72 7.64 1.01 0.00
H 0.59 8.59 0.23 0.00
H -1.01 8.51 3.39 0.00
H -0.44 9.66 2.17 0.00
H 1.88 9.57 3.00 0.00
H 1.70 8.25 3.94 0.00
H 0.84 9.74 4.49 0.00
H 0.27 5.47 2.13 0.00
H 1.16 6.36 3.37 0.00
H -1.95 6.27 3.42 0.00
H -0.98 5.10 4.29 0.00
H -0.83 6.85 4.58 0.00
C 8.95 -0.40 -0.31 0.00
C 7.77 -0.95 -1.09 0.01
N 6.72 -1.50 -0.32 0.00
C 6.97 -2.78 0.39 0.02
C 7.06 -3.98 -0.61 0.01
C 5.99 -0.50 0.48 0.03
C 5.19 0.40 -0.36 0.03
H 9.83 -0.25 -0.94 0.00
H 9.18 -1.01 0.55 0.00
H 8.59 0.60 -0.06 0.00
H 7.57 -0.17 -1.82 0.00
H 8.10 -1.73 -1.77 0.00
H 7.68 -2.68 1.21 0.00
H 6.00 -2.91 0.86 0.01
H 6.67 -3.71 -1.59 0.00
H 8.12 -4.18 -0.79 0.00
H 6.61 -4.87 -0.17 0.01
H 6.53 0.12 1.19 0.01
H 5.27 -0.99 1.13 0.03
H 5.84 1.23 -0.65 0.00
H 4.31 0.84 0.11 0.00
H 4.87 0.11 -1.36 0.01
C 0.81 -2.55 4.82 0.04
C 0.69 -3.70 5.83 0.02
N 1.17 -3.19 7.13 0.00
C 2.63 -3.14 7.33 0.02
C 2.94 -3.85 8.68 0.00
C 0.44 -2.08 7.83 0.00
C -1.06 -2.18 7.88 0.00
H 0.63 -2.86 3.79 0.01
H 1.80 -2.10 4.70 0.03
H 0.23 -1.66 5.06 0.00
=====

symptom of mastitis
symptom of mastitis

In what cases can a woman feel this or that symptom of mastitis? Firstly, if the baby refuses to breastfeed or eats poorly, he does not suck out all the milk. In this case, it must be decanted, no matter how long it takes. Secondly, if the milk is too fatty, blockage of the ducts can occur, making it difficult for it to come out. Thirdly, a symptom of mastitis occurs when cracks appear in the nipples and pathogenic bacteria penetrate into the breast tissue. How exactly does the disease manifest itself in the first stages? The chest seems to swell, increases in size. It becomes hard, in some places in the tissues, seals and tubercles are clearly felt. A clear symptom of mastitis is swollen, hardened nipples, up tothat hurt to touch. Breasts seem overflowing with milk, swollen, but it is expressed with difficulty. Be sure to pay attention to body temperature - it rises sharply. A slight chill, a slight malaise in a short time develop into a strong fever and pronounced soreness. This is also such a symptom of mastitis, which cannot be mistaken. And a kind of pointer to the problem with stagnation of milk can serve as a temperature difference between the armpits. Above it will be in the one that is next to the sore chest. Yes exactly. It happens that mastitis develops in only one gland. And if the disease is started, it will spread to the second one. In addition to external signs, a blood test also helps to identify the symptoms of mastitis in women, which will clearly indicate the inflammatory process. And since the disease proceeds in several stages, it is extremely important to prevent the last, most severe - purulent. The body experiences acute intoxication: body aches, headache, nausea and vomiting, and all this against the background of the already described discomfort in the chest. This is in general terms mastitis during breastfeeding. Symptoms may be present all together or selectively, but in any case, you should definitely consult a doctor!

symptoms of mastitis in women
symptoms of mastitis in women

What to do if…

Needless to say, it is desirable that during pregnancy and in the first half of the postpartum period (6 months) the female body is he althy. After all, even such a “trifle” as inflamed tonsils, sore teeth (pulpitis), sinusitis can become causative agents of infection,causing symptoms of mastitis. Yes, and the weakened immunity of the mother of the newborn is also an objective reason. But if the problem has manifested itself, it should be de alt with. The doctor will tell you in detail about drug treatment.

mastitis while breastfeeding
mastitis while breastfeeding

But what is required of the woman herself: prevention of cracks in the nipples, hygiene procedures, treatment of areolas with special products, breast pads made of natural linen or cotton so that the skin of the nipples does not rub against the fabric of the bras. By the way, you shouldn't overdry it. Therefore, when washing the mammary glands, use such hygiene products, the alkaline level of which is close to neutral.

Be attentive to yourself and your he alth!